Say how many lines of the rows underneath hold the word "by", as a bare number.
The following is a calculated X-ray diffraction stick pattern of Fe2CoNi5. It was derived from a GGA-PBE-relaxed structure, using Cu Kα.
Neutral-atom scattering factors, no anomalous dispersion.

Cell and atoms:
```
data_Fe2CoNi5
_cell_length_a 4.991
_cell_length_b 9.986
_cell_length_c 3.511
_cell_angle_alpha 90.00
_cell_angle_beta 90.00
_cell_angle_gamma 90.00
_space_group_name_H-M_alt 'P b a m'
_space_group_IT_number 55
loop_
_space_group_symop_operation_xyz
'x,y,z'
'-x,-y,-z'
'-x,-y,z'
'x,y,-z'
'x+1/2,-y+1/2,-z'
'-x+1/2,y+1/2,z'
'-x+1/2,y+1/2,-z'
'x+1/2,-y+1/2,z'
loop_
_atom_site_label
_atom_site_type_symbol
_atom_site_fract_x
_atom_site_fract_y
_atom_site_fract_z
Fe1 Fe 0.245 0.124 0.000
Co1 Co 0.000 0.000 0.500
Ni1 Ni 0.000 0.500 0.500
Ni2 Ni 0.005 0.751 0.500
Ni3 Ni 0.246 0.375 0.000
```

The 3 most intense peaks (2θ from 5° to 70°), sorted by position:
| d_spacing | 2theta | I (rel.) |
| --- | --- | --- |
| 2.034 | 44.54 | 100.0 |
| 1.765 | 51.80 | 31.0 |
| 1.756 | 52.10 | 15.3 |

***

The following is a calculated X-ray diffraction stick pattern of Y3Fe6Co2Ni. It was derived from a GGA-PBE-relaxed structure, using Cu Kα.
Neutral-atom scattering factors, no anomalous dispersion.

Cell and atoms:
```
data_Y3Fe6Co2Ni
_cell_length_a 5.0491
_cell_length_b 5.0491
_cell_length_c 24.5084
_cell_angle_alpha 90.00
_cell_angle_beta 90.00
_cell_angle_gamma 120.00
_space_group_name_H-M_alt 'R -3 m'
_space_group_IT_number 166
_space_group_name_Hall '-R 3 2"'
loop_
_atom_site_label
_atom_site_type_symbol
_atom_site_fract_x
_atom_site_fract_y
_atom_site_fract_z
Y1 Y 0.0000 0.0000 0.0000
Y2 Y 0.0000 0.0000 0.1419
Fe1 Fe 0.0010 0.5005 0.9191
Co1 Co 0.0000 0.0000 0.3325
Ni1 Ni 0.0000 0.0000 0.5000
```

The 10 most intense peaks (2θ from 5° to 70°), sorted by position:
| d_spacing | 2theta | I (rel.) |
| --- | --- | --- |
| 2.733 | 32.77 | 23.4 |
| 2.525 | 35.56 | 33.6 |
| 2.509 | 35.79 | 22.0 |
| 2.178 | 41.47 | 27.4 |
| 2.148 | 42.07 | 100.0 |
| 2.042 | 44.35 | 16.5 |
| 1.997 | 45.42 | 19.7 |
| 1.985 | 45.70 | 12.4 |
| 1.373 | 68.34 | 24.2 |
| 1.367 | 68.69 | 9.6 |

***

The following is a calculated X-ray diffraction stick pattern of Pr2FeCoSi2. It was derived from a GGA-PBE-relaxed structure, using Cu Kα.
Neutral-atom scattering factors, no anomalous dispersion.

Cell and atoms:
```
data_Pr2FeCoSi2
_cell_length_a 4.014
_cell_length_b 4.014
_cell_length_c 7.062
_cell_angle_alpha 90.00
_cell_angle_beta 90.00
_cell_angle_gamma 90.00
_space_group_name_H-M_alt 'P -4 m 2'
_space_group_IT_number 115
loop_
_space_group_symop_operation_xyz
'x,y,z'
'y,-x,-z'
'-x,-y,z'
'-y,x,-z'
'-x,y,z'
'-y,-x,-z'
'x,-y,z'
'y,x,-z'
loop_
_atom_site_label
_atom_site_type_symbol
_atom_site_fract_x
_atom_site_fract_y
_atom_site_fract_z
Pr1 Pr 0.000 0.500 0.181
Fe1 Fe 0.000 0.000 0.500
Co1 Co 0.500 0.500 0.500
Si1 Si 0.000 0.500 0.666
```

The 10 most intense peaks (2θ from 5° to 70°), sorted by position:
| d_spacing | 2theta | I (rel.) |
| --- | --- | --- |
| 3.490 | 25.52 | 100.0 |
| 2.839 | 31.52 | 33.0 |
| 2.651 | 33.81 | 80.5 |
| 2.634 | 34.04 | 50.2 |
| 2.212 | 40.79 | 74.9 |
| 2.007 | 45.17 | 53.4 |
| 1.740 | 52.60 | 28.4 |
| 1.616 | 56.98 | 27.3 |
| 1.600 | 57.59 | 34.4 |
| 1.527 | 60.63 | 23.3 |

***

The following is a calculated X-ray diffraction stick pattern of Fe4CoSi2Pt. It was derived from a GGA-PBE-relaxed structure, using Cu Kα.
Neutral-atom scattering factors, no anomalous dispersion.

Cell and atoms:
```
data_Fe4CoSi2Pt
_cell_length_a 4.043
_cell_length_b 4.043
_cell_length_c 5.769
_cell_angle_alpha 90.00
_cell_angle_beta 90.00
_cell_angle_gamma 90.00
_space_group_name_H-M_alt 'P -4 m 2'
_space_group_IT_number 115
loop_
_space_group_symop_operation_xyz
'x,y,z'
'y,-x,-z'
'-x,-y,z'
'-y,x,-z'
'-x,y,z'
'-y,-x,-z'
'x,-y,z'
'y,x,-z'
loop_
_atom_site_label
_atom_site_type_symbol
_atom_site_fract_x
_atom_site_fract_y
_atom_site_fract_z
Fe1 Fe 0.000 0.000 0.000
Fe2 Fe 0.000 0.500 0.729
Fe3 Fe 0.500 0.500 0.500
Co1 Co 0.000 0.000 0.500
3